When It Comes to DEI, Companies Must Walk the Talk
Edmonton-based CarePros does tough work. The five-year-old company, founded by Charles Wong, uses trauma-informed care to help children and youth achieve personal success by nurturing their physical, social, cultural and emotional wellbeing—work that helped earn the company a spot on the 2022 New Innovators List. CarePros is the kind of operation whose success hinges on engaged staff, progressive policies and inclusive thinking. So Canadian Business talked to Wong, CarePro’s president, about why it’s important for businesses to recruit based on shared values, what organizations can do to create burnout-free workplaces and how companies can authentically support DEI.
You run a company that exists to serve people who are traditionally marginalized, and who have a lot of challenges. How do you ensure that everyone you’re bringing in is aligned with that mission?
Our company is named after our frontline staff; I see them as the heroes of the organization. We attract individuals who are in the human services field: social work and disability services. Many of them have self-selected into this industry; they’re here to serve individuals who have mental, medical and behavioural challenges and also individuals who have experienced trauma.
Someone pasted data records at this point:
'''
Computed, not measured: a relaxed Y2HfTlO crystal at the PBE-GGA level of DFT.

Unit cell a=4.9377 b=4.9377 c=4.3137 alpha=90.00 beta=90.00 gamma=90.00
With the nearest neighbours (Å) after each atom.
Atoms (fractional coordinates):
Y (0.0000, 0.5000, 0.0000)  2 O 2.47
Y (0.5000, 0.0000, 0.0000)  2 O 2.47
Tl (0.5000, 0.5000, 0.5000)  8 Y 3.28, 4 Hf 3.49
Hf (0.0000, 0.0000, 0.5000)  2 O 2.16
O (0.0000, 0.0000, 0.0000)  2 Hf 2.16

## Properties
formation energy (no corrections) = -1171 meV per atom
space-group type = P4/mmm (123)
electronic total energy = -7.21 eV/atom

* * * * *

(1)
# La2ZrHg | Alexandria via LeMat-Bulk | PBE | relaxed
data_La2ZrHg
_chemical_formula_sum 'La8 Zr4 Hg4'
_cell_length_a 8.669
_cell_length_b 8.669
_cell_length_c 6.336
_cell_angle_alpha 90.00
_cell_angle_beta 90.00
_cell_angle_gamma 90.00
_symmetry_space_group_name_H-M 'I -4 2 d'
_symmetry_Int_Tables_number 122
_symmetry_space_group_name_Hall 'I -4 2bw'
loop_
_atom_site_label
_atom_site_type_symbol
_atom_site_fract_x
_atom_site_fract_y
_atom_site_fract_z
La1 La 0.241 0.250 0.125
Zr1 Zr 0.000 0.000 0.500
Hg1 Hg 0.000 0.000 0.000
# Fermi-level density of states (states/eV/f.u.): 6.56
# ΔH_f (0 K) (eV per atom): 0.199
# Total energy (eV per atom): -4.48

(2)
# Er2ZnIn | Alexandria via LeMat-Bulk | PBE | relaxed
data_Er2ZnIn
_chemical_formula_sum 'Er8 Zn4 In4'
_cell_length_a 7.284
_cell_length_b 7.284
_cell_length_c 7.284
_cell_angle_alpha 90.00
_cell_angle_beta 90.00
_cell_angle_gamma 90.00
_symmetry_space_group_name_H-M 'F m -3 m'
_symmetry_Int_Tables_number 225
_symmetry_space_group_name_Hall '-F 4 2 3'
loop_
_atom_site_label
_atom_site_type_symbol
_atom_site_fract_x
_atom_site_fract_y
_atom_site_fract_z
Er1 Er 0.250 0.250 0.250
Zn1 Zn 0.000 0.000 0.000
In1 In 0.000 0.000 0.500
# Fermi-level density of states (states/eV/f.u.): 3.03
# ΔH_f (0 K) (eV per atom): -0.390
# Total energy (eV per atom): -3.67

* * * * *

[1]
A geometry-optimized Cd6In5Bi structure. Source: Alexandria via LeMat-Bulk, functional PBE.

Computed properties:
symmetry	C2/m (12)
energy of formation from the pure elements	0.04	eV per atom
DOS at the Fermi energy	4.96	states/eV/cell

abc: 8.659 8.659 4.748
angles: 105.49 105.49 105.65
Atoms (fractional coordinates):
Cd: 0.080 0.416 0.747
Cd: 0.245 0.245 0.245
Cd: 0.416 0.080 0.747
Cd: 0.584 0.920 0.253
Cd: 0.755 0.755 0.755
Cd: 0.920 0.584 0.253
In: 0.000 0.000 0.500
In: 0.165 0.835 0.000
In: 0.329 0.671 0.500
In: 0.671 0.329 0.500
In: 0.835 0.165 0.000
Bi: 0.500 0.500 0.000

***

[2]
A geometry-optimized Ca2TaAu structure. Source: Alexandria via LeMat-Bulk, functional PBE.

Computed properties:
symmetry	I-42d (122)
energy of formation from the pure elements	0.59	eV per atom
DOS at the Fermi energy	10.74	states/eV/cell

abc: 6.622 6.622 6.622
angles: 101.59 101.59 126.74
Atoms (fractional coordinates):
Ca: 0.086 0.625 0.961
Ca: 0.375 0.336 0.461
Ca: 0.664 0.125 0.039
Ca: 0.875 0.914 0.539
Ta: 0.250 0.750 0.500
Ta: 0.500 0.500 0.000
Au: 0.000 0.000 0.000
'''
We are a purpose-driven organization, and we have been spending a lot of time while we’re in this early, high-growth stage to really define our mission, vision and core values. Within our mission, we guide children and youth to achieve personal success by nurturing their physical, social, cultural, ideological and emotional wellbeing. And as a team we celebrate five key core values: We care; we are culturally responsive; we listen first; we live with integrity; and we are one.
People who are joining our organization are, and have to be, aligned with that mission, vision and core values. We weed people out very quickly in our recruitment process if they don’t align. And that’s how we’ve been able to build and protect the culture that we have developed, especially during the pandemic.
The work your team does can be gruelling, and the caregiving industry as a whole experiences very high rates of burnout. What do you do to protect the wellbeing of your team members?
Beginning in the summer of 2020, still early days into the pandemic, we started soliciting feedback actively, on a week-to-week basis, about what our staff wanted and what they needed. One of the trends that started to surface out of Europe was the four-day workweek. We polled our team and we decided to pilot that in July 2020, to give people more flexibility, the opportunity to have long weekends every single week. We took feedback after the pilot, and more than 95 per cent of our team was in support of implementing the four-day workweek. It made their lives better and as an organization we’re still able to see similar, if not increased productivity.
We also started offering unlimited sick days to our head-office administrative team: Regardless of if it was a mental-health day or a physical ailment—we weren’t asking for doctor’s notes. And when employees had to quarantine due to close contacts of COVID-19, our people and culture team would do wellness checks to ensure that the quarantining employee had groceries and, if they were on their own, other supports. We ended up providing hotel accommodation for employees, especially if they were living with vulnerable family members.
We have a relatively large people and culture, or HR, team for a company our size, and that was something that we knew that was really critical. We’re in the social services industry and our biggest assets are our people. So we invest heavily in them.
What do you see the role of your leadership team in modelling support and allyship?
We’ve done a lot of work, in defining our mission and vision and core values, on what it means to be equitable, what it means to be diverse, what it means to be inclusive. Championing diversity, equity and inclusion, or DEI, is not only embedded within our culture in a very real way, it is critical for our success. We have a workforce that is largely people of colour. And 75 per cent of our administrative office team, 66 per cent of employees overall, are women.
It starts from the top. When we talk about DEI, I think it’s very easy to brand it without doing the work. We offer folks who observe different religions additional days off to celebrate their faith. In our physical space, we have gender-neutral bathrooms, a quiet room for prayer, meditation or breastfeeding. I introduce myself with my pronouns, which are ‘he’ and ‘him.’ These are actions I would recommend any employer take from the start. Because the decisions that you make early on will truly define your organization as you scale.
Can you give an example of this DEI-focused foundation helping CarePros to evolve?
On September 30, 2021—Canada’s inaugural National Day for Truth and Reconciliation, we released updated core values to be more culturally responsive. We are not an Indigenous organization. But 70 per cent of the children and youth that we serve are Indigenous. So, as a team, we recognize how much learning that we have to do. We are responding to the 94 Calls for Action developed by Truth and Reconciliation Commission of Canada, the biggest one being in the child intervention space, learning and supporting a lot of the transition of children’s care back to their communities. This is so key and important to us.
Our entire admin team is fully enrolled in the Indigenous Canada 12-week program offered by the University of Alberta. We engage in uncomfortable conversations weekly. Reconciliation has become so critical to the direction of where the country has to go. Our organization is looking to be a very active participant in this. And I think we’re just scratching the surface.